Quick and Dirty Rails Performance Profiling

When I find some Ruby on Rails or Rake tasks running slowly, I throw a quick and dirty profiler around the suspect code to find the bottlenecks with ease. Here’s how I do it, maybe this approach can help you too.

Between two parts of the entry: data records =
'''
Here is an isolated molecule of C2H6N4O2 from OMol25. Energies are from wB97M-V/def2-TZVPD.

Properties
SMILES string = NC(=O)/N=C(\N)NO
LUMO level = 0.929 eV
Spin multiplicity = 1
Strongest force on any atom = 6.2 eV/A
Relative energy (zero: lowest compared OMol25 entry of this formula, charge and spin) = 2.195 eV
Orbital gap = 0.368 Eh

Each line ends with the Mulliken charge.
Cartesian coordinates (Å):
N1 -1.7371 0.2425 -1.3545  -0.301
C1 1.7270 0.1477 0.6562  0.593
C2 -0.5172 0.0230 -0.1297  0.362
N2 2.8325 0.8203 0.2998  -0.345
N3 -1.0118 -0.6069 0.9307  -0.338
O1 -2.8603 -0.5787 -1.0904  -0.472
N4 0.5547 0.4350 -0.5939  -0.473
O2 1.6516 -0.5758 1.6281  -0.615
H1 -3.5704 0.0397 -0.8659  0.355
H2 -1.3198 -0.0978 -2.2186  0.246
H3 3.6784 0.7489 0.8468  0.246
H4 2.8264 1.3579 -0.5485  0.241
H5 -0.3236 -0.9368 1.6014  0.249
H6 -1.9305 -1.0191 0.8386  0.252

~~~~~

DFT (ωB97M-V/def2-TZVPD) results for C5H6O in the gas phase at a distorted geometry.

The geometry in ORCA input format:
```
! RIJCOSX wB97M-V def2-TZVPD def2/J DEFGRID3
* xyz 0 1
O -1.4693 0.0726 -0.3277
C -0.4042 1.7603 0.7803
C -0.5310 2.8946 1.1713
C 0.6990 -0.5964 0.2304
C 0.1968 -1.6326 -0.9659
C -0.4490 0.3964 0.2366
H -0.8568 -2.0345 -0.8838
H 0.8203 -2.5225 -0.9533
H -0.6406 3.8992 1.5279
H 1.6712 0.0014 0.4069
H 0.7022 -1.2228 1.1340
H 0.1452 -1.1843 -1.9747
*
```

Properties
lowest unoccupied orbital energy = 0.38 eV
SMILES string = C#CC(=O)CC
highest occupied orbital energy = -0.370 hartree
energy = -7326.4884 eV
ΔE to the lowest compared entry with this formula, charge and spin = 269.8 kJ/mol
Kohn-Sham gap = 10.440 eV

=====

DFT (ωB97M-V/def2-TZVPD) results for C6H10O as an isolated structure at a distorted geometry.

The geometry in ORCA input format:
```
! RIJCOSX wB97M-V def2-TZVPD def2/J DEFGRID3
* xyz 0 1
O 0.2530 -0.2137 -2.6980
C -0.6231 1.6579 -0.7044
C -0.2627 0.2631 1.3133
C -0.1054 0.4210 -0.0327
C -0.0313 -0.9156 2.2011
C 1.1481 -0.2718 -0.4730
C 0.4093 -0.8512 -1.4800
H -0.4369 1.1753 1.8795
H -0.9347 -1.1128 2.7851
H 0.1723 2.3913 -0.8352
H 1.7097 -0.9163 0.1882
H -1.4479 2.1164 -0.1574
H 0.3866 -1.9377 -1.5553
H 0.7551 -0.6928 2.9264
H -1.0483 1.4758 -1.6877
H 0.2619 -1.8089 1.6572
H -0.2058 -0.7801 -3.3269
*
```

Properties
lowest unoccupied orbital energy = 0.47 eV
highest occupied orbital energy = -0.254 hartree
energy = -8426.8744 eV
ΔE to the lowest compared entry with this formula, charge and spin = 421.2 kJ/mol
Kohn-Sham gap = 7.394 eV

=====

DFT (ωB97M-V/def2-TZVPD) results for C21H30N12NaPSSi as an isolated structure.

The geometry in ORCA input format:
```
! RIJCOSX wB97M-V def2-TZVPD def2/J DEFGRID3
* xyz 0 1
S 2.5351 0.3752 -0.9557
P -3.0998 -1.0190 -0.5898
Si 3.1636 3.4129 0.2088
Na 0.4477 -1.3957 -1.1512
N -1.0310 0.4793 -1.7885
N 2.6185 -3.2752 0.0877
N -0.9251 -2.5011 0.4143
N -2.5148 -2.1725 1.9134
N -1.5965 -2.3421 -2.5732
N -3.7735 -2.7181 -2.6924
N -2.2616 1.6313 -0.3554
N 3.8420 -2.9881 0.4090
N 2.5514 -3.0958 -1.2210
'''

To profile in Ruby on Rails, add the following to your Gemfile

gem 'ruby-prof'

And don’t forget to run bundle.

Add the following file Gist 1929287 into your lib folder

~~~
Record 1
# C6H32NO11

11 unconnected molecules or ions with the total composition C6H32NO11 at a distorted geometry (ωB97M-V with the def2-TZVPD basis set, the OMol25 dataset).

Element x y z (Å)
O  -1.842  1.587  -1.057
C  -1.533  0.398  -0.555
C  -0.440  -0.294  -0.992
C  -0.002  -1.678  -0.654
C  1.249  -1.997  0.139
C  1.478  -1.861  1.443
C  2.341  -2.629  -0.750
N  0.457  0.348  -1.964
H  -2.083  -0.101  0.221
H  0.048  1.967  1.651
H  0.084  -2.179  -1.642
H  -0.814  -2.267  -0.205
H  2.350  -2.372  1.856
H  0.882  -1.195  2.033
H  2.914  -3.393  -0.229
H  3.106  -1.892  -1.045
H  1.961  -2.795  -1.767
H  1.454  0.316  -1.744
H  0.429  1.390  -1.888
H  0.115  -0.039  -2.858
H  -2.574  2.051  -0.517
H  -4.499  2.330  0.469
O  -3.888  2.940  0.038
H  -3.126  0.653  1.905
H  -3.667  3.582  0.712
O  -2.655  1.502  1.808
H  -1.758  1.359  2.139
H  0.181  0.416  1.351
O  0.154  1.095  2.033
H  -3.939  -3.324  1.114
H  -2.788  -4.263  1.623
O  -2.997  -3.498  1.081
H  3.166  1.196  -0.999
H  3.558  1.502  -2.527
O  2.859  1.575  -1.875
H  0.662  4.180  -1.269
H  1.705  3.174  -0.954
O  0.750  3.229  -1.173
H  -1.232  -1.712  -4.165
H  -1.029  -0.105  -4.503
O  -0.656  -0.967  -4.302
H  3.676  1.098  3.626
H  2.181  1.367  3.140
O  3.114  1.324  2.883
H  -3.266  -1.937  2.028
H  -4.410  -1.069  2.628
O  -3.660  -1.043  2.023
H  3.458  0.404  1.080
H  4.596  1.160  0.379
O  3.931  0.466  0.232

Calculated values
* LUMO: -2.2 eV
* energy relative to the best compared isomer or geometry (same formula, charge and spin): 141.2 kJ/mol
* multiplicity: 1
* net charge: +1
* orbital gap: 9.35 eV
* highest occupied orbital energy: -11.58 eV

Record 2
# C3H8N4O

2 unconnected molecules or ions with the total composition C3H8N4O at a distorted geometry (ωB97M-V with the def2-TZVPD basis set, the OMol25 dataset).

Element x y z (Å)
C  -0.868  -0.640  0.151
C  0.505  -0.204  -0.135
C  0.374  1.332  0.137
H  -3.115  -1.045  0.556
H  -3.449  0.783  0.208
H  -1.179  -1.725  0.356
H  -0.297  1.452  1.043
H  -0.476  1.558  -0.459
H  2.585  1.673  0.633
H  2.594  -2.412  -0.191
H  1.130  -2.456  -0.770
N  -3.045  -0.160  -0.030
N  -1.832  0.207  -0.260
N  1.742  -0.661  -0.013
N  1.632  -2.009  0.108
O  1.582  2.200  -0.116

Calculated values
* LUMO: 0.1 eV
* energy relative to the best compared isomer or geometry (same formula, charge and spin): 790.6 kJ/mol
* multiplicity: 1
* orbital gap: 8.47 eV
* highest occupied orbital energy: -8.39 eV

=====

Density functional theory data (ωB97M-V/def2-TZVPD) for C5H8FN in the gas phase at a distorted geometry.

Element x y z (Å)
1 C -0.206 1.301 0.157
2 C 1.053 0.359 0.158
3 C 1.029 -0.917 -0.144
4 C 0.013 -1.822 -0.584
5 C -0.993 -1.482 -1.444
6 H -0.526 1.366 2.176
7 H 0.301 2.699 1.619
8 H -1.094 0.795 -0.175
9 H 0.043 2.082 -0.586
10 H 1.953 0.699 0.538
11 H 0.000 -2.819 -0.064
12 H -1.175 -0.559 -1.892
13 H -2.006 -2.105 -1.510
14 N -0.409 2.084 1.406
15 F 2.018 -1.681 0.345

Calculated values
~~~

class DevelopmentProfiler
  def self.prof(file_name)
    results = RubyProf.stop
    # Print a flat profile to text
    File.open "#{Rails.root}/tmp/performance/#{file_name}-graph.html", 'w' do |file|
    File.open "#{Rails.root}/tmp/performance/#{file_name}-flat.txt", 'w' do |file|
      # RubyProf::FlatPrinter.new(results).print(file)
    File.open "#{Rails.root}/tmp/performance/#{file_name}-stack.html", 'w' do |file|

_Here the piece breaks off for calculated molecules_
~~~
(1)
C11H33N9O17Si | ωB97M-V with the def2-TZVPD basis set

XYZ file:
```
71
Properties=species:S:1:pos:R:3:lowdin_charge:R:1
C -0.45 2.43 -2.89 -0.041
C 0.89 1.48 -2.81 -0.392
O 1.06 0.48 -3.68 -0.054
N 1.92 1.68 -1.73 -0.255
C 2.32 3.13 -1.54 -0.176
Si 1.15 1.17 -0.15 0.680
H -1.38 1.73 -2.72 0.085
H -0.44 3.25 -2.04 0.084
H -0.56 3.02 -3.91 0.100
H 3.50 3.14 -1.44 0.104
H 2.04 3.78 -2.47 0.105
H 1.90 3.54 -0.52 0.049
H 2.28 0.66 0.67 -0.072
H 0.47 2.27 0.54 -0.071
H 0.23 0.07 -0.39 -0.068
C -3.01 -2.04 -2.76 0.032
N -2.93 -0.76 -2.00 -0.414
O -3.81 0.08 -2.22 0.048
O -1.99 -0.64 -1.21 0.007
H -3.88 -2.01 -3.42 0.069
H -2.09 -2.14 -3.34 0.115
H -3.10 -2.85 -2.03 0.080
C -5.61 -5.43 -1.05 0.053
N -4.27 -5.47 -1.71 -0.382
O -3.44 -6.27 -1.25 0.050
O -4.09 -4.70 -2.65 0.024
H -5.62 -6.16 -0.24 0.099
H -5.75 -4.42 -0.67 0.108
H -6.35 -5.68 -1.81 0.101
C -0.77 -7.36 -0.07 0.030
N -0.21 -8.71 0.22 -0.427
O 0.76 -9.08 -0.46 0.051
O -0.75 -9.36 1.12 0.044
H -0.20 -6.91 -0.88 0.100
H -1.82 -7.50 -0.36 0.069
H -0.69 -6.77 0.84 0.103
C -1.54 4.85 2.65 0.053
N -0.42 3.96 2.26 -0.413
O -0.18 2.98 2.98 0.050
O 0.21 4.28 1.24 -0.014
H -2.00 4.45 3.57 0.099
H -1.14 5.84 2.83 0.081
H -2.26 4.85 1.83 0.109
C -6.02 -4.58 -6.25 0.044
N -5.44 -3.81 -5.12 -0.408
O -4.32 -3.32 -5.28 0.054
O -6.13 -3.73 -4.09 0.034
H -5.30 -4.57 -7.08 0.098
H -6.19 -5.60 -5.91 0.102
H -6.95 -4.09 -6.54 0.103
C 2.12 7.70 1.39 0.041
N 0.65 7.86 1.51 -0.423
O 0.19 8.04 2.64 0.037
O -0.01 7.81 0.46 0.054
H 2.56 7.77 2.39 0.098
H 2.31 6.72 0.95 0.097
H 2.49 8.50 0.75 0.103
C 3.42 -0.55 3.40 0.035
N 4.14 0.75 3.47 -0.415
O 4.39 1.32 2.40 0.042
O 4.42 1.17 4.60 0.036
H 3.23 -0.79 2.35 0.077
H 4.06 -1.30 3.87 0.102
H 2.48 -0.43 3.94 0.105
C 7.44 2.23 5.34 0.024
N 8.69 2.43 6.14 -0.428
O 8.64 2.17 7.34 0.050
O 9.68 2.84 5.52 0.045
H 6.66 1.87 6.01 0.085
H 7.17 3.20 4.91 0.104
H 7.66 1.50 4.56 0.102
```

Calculated values
structure (SMILES): CC(=O)N(C)[SiH3].C[N+](=O)[O-].C[N+](=O)[O-].C[N+](=O)[O-].C[N+](=O)[O-].C[N+](=O)[O-].C[N+](=O)[O-].C[N+](=O)[O-].C[N+](=O)[O-]
energy: -68012.81854 eV
LUMO: -0.7 eV
orbital gap: 8.692 eV
total charge: 0

=====

(2)
C11H34AgBrN8O5 | ωB97M-V with the def2-TZVPD basis set

XYZ file:
```
60
Properties=species:S:1:pos:R:3:lowdin_charge:R:1
Ag 2.61 5.08 -23.53 0.765
Br 1.71 1.71 -24.94 -0.712
C -3.33 1.78 -22.84 -0.066
C -3.86 0.39 -23.20 -0.389
C -4.61 0.25 -24.56 -0.220
O -5.73 1.08 -24.57 -0.190
C -6.42 0.99 -25.79 -0.121
N -2.65 -0.47 -23.12 0.010
H -2.81 1.76 -21.89 0.065
H -4.22 2.41 -22.75 0.071
H -2.62 2.25 -23.52 0.076
H -4.55 -0.03 -22.47 0.135
H -4.84 -0.81 -24.69 0.120
H -3.97 0.60 -25.38 0.121
H -7.12 1.80 -25.59 0.089
H -6.96 0.05 -25.93 0.092
H -5.88 1.37 -26.65 0.089
H -1.81 -0.24 -23.63 0.061
H -2.75 -1.44 -23.36 0.058
C 7.24 1.83 -28.84 -0.066
C 6.05 1.65 -29.82 -0.405
C 6.60 0.86 -31.04 -0.151
O 7.57 1.76 -31.70 -0.201
C 8.43 1.17 -32.56 -0.171
N 5.00 0.85 -29.12 0.034
H 6.84 2.34 -27.97 0.071
H 7.94 2.46 -29.39 0.070
H 7.73 0.87 -28.68 0.079
~~~

To use it, just wrap the slow code as follows. Note that the name import is the prefix I want to use on the output files:

DevelopmentProfiler::prof("import") do
	# Your slow code here

Next time you call this code, via a URL or in a Rake task, it will be profiled and three files will be written to tmp/performance:

  • import-flat.txt: A text file listing all functions called, the time spent in each and the number of calls made to that function
  • import-graph.html: A HTML page allowing you to see and drill down the call tree to find where the time is spent.
  • import-stack.html: A complex HTML stack page that enables you to visualize the profile.

I use on the import-stack.html file in my quick and dirty approach. Here’s what one of these looks like:

This profile ran for 36.01 seconds, and spent 18.25% of its time in load_allocations. Looks like we can get some improvement there. So I then expand out the tree to see where in my code it spends the time, how many times something gets called, and then choose which to optimize. One of the excellent features of this view is that the links open TextMate at the line of code being profiled.

Iterate, optimize, profile, iterate, optimize, and profile again, and I see this:

This profile now ran for 26.20 seconds, a huge speed up, with load_allocations using only 7.46% of the shorter runtime. There is much more I can do. I can drill on these stacks for hours finding more and more methods to optimize.

I usually profile like this in the development environment (most people recommend using a profiling or staging environment). This way I have access to my development database as well as the ability to drop in some quick logging or puts methods to help me see what is going on. I did say it was a quick and dirty approach.

So next time you are wondering why something in Rails or a Rake task is slow, just wrap it in the profiler and drill down the stack to see where the slowdown is.

Posted By Hilton Lipschitz · Feb 27, 2012 10:46 PM